[Wanted]
Work out how many lines underneath have the word "Dy2Ge3Pd9" in them; a number is enough.

[Data]
The following is a calculated powder X-ray diffraction pattern of Dy6GeO12. It was derived from the GGA-PBE geometry in Alexandria, using λ = 1.5418 Å (Cu Kα).

Principal peaks in the range 10° ≤ 2θ ≤ 90°, sorted by position:
- 2θ 28.86, intensity 34.6, hkl 0 0 3
- 2θ 29.52, intensity 100.0, hkl 2 1 1
- 2θ 34.03, intensity 45.4, hkl 3 -2 2
- 2θ 48.46, intensity 30.1, hkl 2 1 4
- 2θ 49.31, intensity 27.3, hkl 1 4 0
- 2θ 57.38, intensity 14.1, hkl 3 -2 5
- 2θ 58.15, intensity 24.5, hkl 5 -1 3
- 2θ 58.52, intensity 12.0, hkl 6 -4 1

Crystal structure
Cell: 9.7787 9.7787 9.2811 Å, 90.00 90.00 120.00°
Space group R-3 (No. 148, hexagonal axes)
Inequivalent atoms, fractional coordinates:
Dy  0.0539  0.2631  0.1537 (multiplicity 18)
Ge  0.0000  0.0000  0.5000 (multiplicity 3)
O  0.0395  0.2249  0.9025 (multiplicity 18)
O  0.0423  0.1898  0.3925 (multiplicity 18)

The following is a calculated powder X-ray diffraction pattern of PmDyGe2O8. It was derived from the GGA-PBE geometry in Alexandria, using λ = 1.5418 Å (Cu Kα).

Principal peaks in the range 10° ≤ 2θ ≤ 90°, sorted by position:
- 2θ 18.92, intensity 13.5, hkl 1 0 1
- 2θ 29.10, intensity 100.0, hkl 1 1 2
- 2θ 31.30, intensity 15.1, hkl 0 0 4
- 2θ 34.88, intensity 19.9, hkl 2 0 0
- 2θ 47.56, intensity 29.2, hkl 2 0 4
- 2θ 50.16, intensity 12.5, hkl 2 2 0
- 2θ 54.36, intensity 17.1, hkl 1 1 6
- 2θ 59.05, intensity 28.3, hkl 1 3 2

Crystal structure
Cell: 5.144 5.144 11.432 Å, 90.00 90.00 90.00°
Space group I-4 (No. 82)
Inequivalent atoms, fractional coordinates:
Pm  0.000  0.000  0.000 (multiplicity 2)
Dy  0.000  0.500  0.750 (multiplicity 2)
Ge  0.000  0.000  0.500 (multiplicity 2)
Ge  0.000  0.500  0.250 (multiplicity 2)
O  0.144  0.256  0.583 (multiplicity 8)
O  0.154  0.756  0.171 (multiplicity 8)

The following is a calculated powder X-ray diffraction pattern of Dy2ZnGeO6. It was derived from the GGA-PBE geometry in Alexandria, using λ = 1.5418 Å (Cu Kα).

Principal peaks in the range 10° ≤ 2θ ≤ 90°, sorted by position:
- 2θ 18.27, intensity 21.6, hkl 0 0 1
- 2θ 30.63, intensity 100.0, hkl 1 1 1
- 2θ 34.73, intensity 34.9, hkl 2 0 0
- 2θ 39.52, intensity 11.8, hkl 2 0 1
- 2θ 44.82, intensity 15.1, hkl 1 1 2
- 2θ 49.94, intensity 20.2, hkl 2 2 0
- 2θ 51.67, intensity 24.7, hkl 2 0 2
- 2θ 59.73, intensity 30.1, hkl 3 1 1

Crystal structure
Cell: 5.166 5.166 4.856 Å, 90.00 90.00 90.00°
Space group P4mm (No. 99)
Inequivalent atoms, fractional coordinates:
Dy  0.000  0.500  0.000 (multiplicity 2)
Zn  0.000  0.000  0.552 (multiplicity 1)
Ge  0.500  0.500  0.594 (multiplicity 1)
O  0.000  0.000  0.157 (multiplicity 1)
O  0.260  0.260  0.725 (multiplicity 4)
O  0.500  0.500  0.224 (multiplicity 1)

The following is a calculated powder X-ray diffraction pattern of DyGePb. It was derived from the GGA-PBE geometry in Alexandria, using λ = 1.5418 Å (Cu Kα).

Principal peaks in the range 10° ≤ 2θ ≤ 90°, sorted by position:
- 2θ 27.46, intensity 100.0, hkl 2 0 1
- 2θ 31.21, intensity 43.7, hkl 0 0 2
- 2θ 32.12, intensity 77.3, hkl 2 2 0
- 2θ 45.39, intensity 60.0, hkl 2 2 2
- 2θ 46.06, intensity 27.4, hkl 4 0 0
- 2θ 54.46, intensity 27.1, hkl 4 2 1
- 2θ 56.69, intensity 29.7, hkl 4 0 2
- 2θ 84.83, intensity 16.9, hkl 6 2 2

Crystal structure
Cell: 7.882 7.882 5.732 Å, 90.00 90.00 90.00°
Space group P4_2/mmc (No. 131)
Inequivalent atoms, fractional coordinates:
Dy  0.000  0.255  0.000 (multiplicity 4)
Ge  0.000  0.254  0.500 (multiplicity 4)
Pb  0.275  0.500  0.500 (multiplicity 4)

The following is a calculated powder X-ray diffraction pattern of Dy2Ge3Pd9. It was derived from the GGA-PBE geometry in Alexandria, using λ = 1.5418 Å (Cu Kα).

Principal peaks in the range 10° ≤ 2θ ≤ 90°, sorted by position:
- 2θ 35.39, intensity 22.5, hkl 2 2 -3
- 2θ 35.90, intensity 14.5, hkl 5 1 -1
- 2θ 37.74, intensity 95.3, hkl 0 2 3
- 2θ 37.85, intensity 49.6, hkl 3 1 -4
- 2θ 39.89, intensity 14.4, hkl 0 0 4
- 2θ 40.18, intensity 100.0, hkl 6 0 -2
- 2θ 71.34, intensity 25.7, hkl 9 1 0

[Completed]
1